Rift Valley Fever Virus

by: Jenny Dorth


Rift Valley Fever virus is a member of the Phlebovirus genera of the Bunyaviridae family. Members of the Phlebovirus genus (Rift Valley Fever and Sandfly Fever viruses) are so named because they can be transmitted by mosquitoes or phlebotomine flies. RVF virus was placed in this family because it has a tripartite genome and is antigenically similar to other phleboviruses.

Material: KPO4
Method: DFT, PBE
State: optimized geometry

Calculated values
The calculation puts the formation energy at -2021 meV/atom.

```
KPO4
1.0
5.242 0.000 0.000
0.000 5.621 0.000
-0.991 0.000 7.287
K P O
2 2 8
Cartesian
0.803 1.405 1.722
3.448 4.216 5.565
0.691 1.405 5.533
3.560 4.216 1.754
-0.285 1.405 4.323
0.445 0.157 6.400
0.445 2.653 6.400
2.178 4.216 2.442
2.073 1.405 4.845
3.806 2.968 0.887
3.806 5.464 0.887
4.536 4.216 2.964
```


Material: BaTa2N4
Method: DFT, PBE
State: optimized geometry

Calculated values
The calculation puts the formation energy at -1284 meV/atom.

```
BaTa2N4
1.0
11.314 0.000 0.000
0.000 11.314 0.000
0.000 0.000 11.314
Ba Ta N
12 24 48
Cartesian
0.000 0.000 0.000
0.000 5.657 5.657
1.366 7.023 9.948
1.366 9.948 4.291
4.291 1.366 9.948
4.291 4.291 4.291
5.657 0.000 5.657
5.657 5.657 0.000
7.023 7.023 7.023
7.023 9.948 1.366
9.948 1.366 7.023
9.948 4.291 1.366
1.227 2.336 3.947
1.227 3.321 9.604
1.711 6.884 2.336
1.711 10.087 7.993
2.336 1.711 6.884
2.336 3.947 1.227
3.321 7.368 6.884
3.321 9.604 1.227
3.947 1.227 2.336
3.947 4.430 7.993
4.430 7.993 3.947
4.430 8.978 9.604
6.884 2.336 1.711
6.884 3.321 7.368
7.368 6.884 3.321
7.368 10.087 8.978
7.993 1.711 10.087
7.993 3.947 4.430
8.978 7.368 10.087
8.978 9.604 4.430
9.604 1.227 3.321
9.604 4.430 8.978
10.087 7.993 1.711
10.087 8.978 7.368
0.187 0.915 3.063
0.187 4.742 8.720
0.915 2.594 5.844
0.915 3.063 0.187
1.554 1.603 8.666
1.554 4.054 3.009
1.603 8.305 7.211
1.603 8.666 1.554
2.594 5.844 0.915
2.594 11.127 6.572
2.648 7.211 4.054
2.648 9.760 9.711
3.009 1.554 4.054
3.009 4.103 9.711
3.063 0.187 0.915
3.063 5.470 6.572
4.054 2.648 7.211
4.054 3.009 1.554
4.103 7.260 8.666
4.103 9.711 3.009
4.742 8.251 5.844
4.742 8.720 0.187
5.470 6.572 3.063
5.470 10.399 8.720
5.844 0.915 2.594
5.844 4.742 8.251
6.572 2.594 11.127
6.572 3.063 5.470
7.211 1.603 8.305
7.211 4.054 2.648
7.260 8.305 9.760
7.260 8.666 4.103
8.251 5.844 4.742
8.251 11.127 10.399
8.305 7.211 1.603
8.305 9.760 7.260
8.666 1.554 1.603
8.666 4.103 7.260
8.720 0.187 4.742
8.720 5.470 10.399
9.711 2.648 9.760
9.711 3.009 4.103
9.760 7.260 8.305
9.760 9.711 2.648
10.399 8.251 11.127
10.399 8.720 5.470
11.127 6.572 2.594
11.127 10.399 8.251
```

* * * * *

Entry 1:
First-principles (GGA-PBE) data for a relaxed Mg13Nb2H32 crystal, as listed in the Materials Project database.

Unit cell a=6.715 b=6.715 c=9.451 alpha=90.00 beta=90.00 gamma=90.00
Atoms (fractional coordinates):
Mg1 0.000 0.000 0.500
Mg2 0.500 0.000 0.500
H1 0.500 0.262 0.383
H2 0.780 0.500 0.863
H3 0.233 0.000 0.881
Mg3 0.500 0.000 0.000
Nb1 0.000 0.000 0.000
Mg4 0.000 0.500 0.000
H4 0.000 0.233 0.881
H5 0.780 0.500 0.137
H6 0.000 0.767 0.119
Mg5 0.255 0.745 0.756
H7 0.262 0.500 0.617
H8 0.258 0.000 0.630
H9 0.500 0.780 0.137
H10 0.000 0.233 0.119
H11 0.500 0.780 0.863
H12 0.742 0.000 0.630
H13 0.500 0.738 0.617
H14 0.500 0.220 0.863
Mg6 0.745 0.745 0.244
H15 0.767 0.000 0.881
H16 0.000 0.258 0.630
H17 0.262 0.500 0.383

History and Transmission

RVF virus was first isolated in 1930 during an investigation of an epizootic among sheep in the Rift Valley in East Africa, hence its name derivation. After this first isolation, other epizootics were seen in many sub-Saharan countries as well as Egypt. The epizootic/epidemic of RVF was intense in several areas clustered around the Nile in Egypt. The disease first occurred in animals (as it usually does) and then spread to humans, resulting in infection rates between 25 and 50% in sheep and cattle and 200,000 human cases with at least 600 deaths. Once an epizootic is underway, it usually leads to an epidemic that can't be controlled because humans become infected both through exposure to the tissues or blood of animals. What increases this transmission rate is the fact that mosquitoes, usually of the genus Aedes, are also able to transmit this virus between animals and humans. Rates of infection increase exponentially during rainy seasons, when there are more mosquitoes around to act as vectors for RVF. Infection can also occur in the laboratory through aerosolization of a virus-infected laboratory specimen.



The clinical manifestations of RVF virus are relatively severe in both humans and animals. Sheep are the most susceptible of the domesticated animals and lambs experience a 90% mortality rate during epizootic periods, adult sheep a 25% mortality rate and pregnant ewes usually abort. Patients that manifest clinical symptoms usually have fever, generalized weakness, back pain, dizziness, and extreme weight loss at illness onset.


RVF in humans is fatal 1% of the time and associated long-term complications are permanent vision loss, occurring in 1-10% of patients. However, most individuals recover within 2 days to 1 week after infection.


In humans the incubation period is 2 to 6 days, so the virus replicates swiftly, in some cases producing no symptoms, in others causing a mild illness associated with fever and liver abnormalities. In some patients, this virus causes a hemorrhagic fever, encephalitis or ocular disease.

**Materials data that have nothing to do with the piece:**
No. 1
# Ti4NbBi7O21

A geometry-optimized Ti4NbBi7O21 structure (GGA-PBE, the Materials Project database).

Results
* VASP energy: -240.01 eV/f.u.
* total moment: 0.0 μB/f.u.

Unit cell a=29.7712 b=29.7712 c=5.4555 alpha=95.09 beta=95.09 gamma=10.63
Closest atoms and distances in Å follow each position.
Fractional coordinates of all 66 atoms:
Ti 0.0001 0.9999 0.0000  4 O 1.85-2.01
Ti 0.0778 0.0684 0.0733  3 O 1.78-1.96
Ti 0.2972 0.2780 0.7859  3 O 1.80-1.93
Ti 0.4315 0.4222 0.4273  3 O 1.78-1.96
Ti 0.5000 0.5000 0.5000  4 O 1.85-2.01
Ti 0.5778 0.5685 0.5727  3 O 1.78-1.96
Ti 0.7220 0.7028 0.2141  3 O 1.80-1.93
Ti 0.9316 0.9222 0.9267  3 O 1.78-1.96
Nb 0.2253 0.1998 0.7173  4 O 1.88-2.07
Nb 0.8002 0.7747 0.2827  4 O 1.88-2.07
Bi 0.0864 0.1548 0.6454  5 O 2.24-2.51
Bi 0.1225 0.2057 0.1849  4 O 2.23-2.46
Bi 0.2124 0.2880 0.2458  4 O 2.28-2.54
Bi 0.2979 0.3737 0.3646  5 O 2.23-2.48
Bi 0.3427 0.4162 0.9045  4 O 2.23-2.46
Bi 0.4163 0.5079 0.9612  6 O 2.29-2.52
Bi 0.4921 0.5837 0.0388  6 O 2.29-2.52
Bi 0.5838 0.6573 0.0955  4 O 2.23-2.46
Bi 0.6263 0.7021 0.6354  5 O 2.23-2.48
Bi 0.7120 0.7876 0.7542  4 O 2.28-2.54
Bi 0.7943 0.8775 0.8151  4 O 2.23-2.46
Bi 0.8452 0.9136 0.3546  5 O 2.24-2.51
Bi 0.9164 0.0078 0.4628  6 O 2.29-2.53
Bi 0.9922 0.0836 0.5372  6 O 2.29-2.53
O 0.0156 0.9182 0.8930  1 Ti 2.01
O 0.0296 0.5261 0.5632  1 Ti 1.93, 1 Nb 2.13
O 0.0440 0.3819 0.0195  1 Nb 1.93, 1 Ti 2.07
O 0.0818 0.9844 0.1070  1 Ti 2.01
O 0.0853 0.6290 0.1131  4 Bi 2.23-2.46
O 0.0856 0.6306 0.6153  4 Bi 2.23-2.45
O 0.1125 0.0931 0.0432  1 Ti 1.78
O 0.1232 0.4509 0.0887  1 Ti 1.91, 1 Nb 2.07
O 0.1866 0.6875 0.2119  2 Ti 1.96-2.11
O 0.2037 0.1591 0.6164  1 Nb 1.88
O 0.2449 0.6142 0.7237  2 Ti 1.92-2.05
O 0.2821 0.7069 0.2391  1 Ti 1.85
O 0.2931 0.7179 0.7609  1 Ti 1.85
O 0.3052 0.1945 0.8294  1 Nb 2.25, 2 Bi 2.28-2.33, 1 Ti 2.29
O 0.3125 0.8134 0.7881  2 Ti 1.96-2.11
O 0.3425 0.2924 0.7485  1 Ti 1.80
O 0.3694 0.9144 0.3847  4 Bi 2.23-2.45
O 0.3710 0.9147 0.8869  4 Bi 2.23-2.46
O 0.3858 0.7551 0.2763  2 Ti 1.92-2.05
O 0.4055 0.3888 0.3385  1 Ti 1.78
O 0.4739 0.9704 0.4368  1 Ti 1.93, 1 Nb 2.13
O 0.5160 0.4179 0.5411  1 Ti 2.01
O 0.5269 0.0288 0.4931  1 Nb 1.97, 1 Ti 2.11
O 0.5491 0.8768 0.9113  1 Ti 1.91, 1 Nb 2.07
O 0.5821 0.4840 0.4589  1 Ti 2.01
O 0.5853 0.1308 0.6034  4 Bi 2.23-2.46
O 0.5857 0.1286 0.1030  4 Bi 2.24-2.48
O 0.6112 0.5945 0.6615  1 Ti 1.78
O 0.6181 0.9560 0.9805  1 Nb 1.93, 1 Ti 2.07
O 0.6867 0.1874 0.1626  2 Ti 1.96-2.10
O 0.7076 0.6575 0.2515  1 Ti 1.80
O 0.7448 0.1142 0.6360  2 Ti 1.92-2.06
O 0.7821 0.2069 0.2501  1 Ti 1.85
O 0.7931 0.2179 0.7499  1 Ti 1.85
O 0.8055 0.6948 0.1706  1 Nb 2.25, 2 Bi 2.28-2.33, 1 Ti 2.29
O 0.8126 0.3133 0.8374  2 Ti 1.96-2.10
O 0.8409 0.7963 0.3836  1 Nb 1.88
O 0.8692 0.4147 0.3966  4 Bi 2.23-2.46
O 0.8714 0.4143 0.8970  4 Bi 2.24-2.48
O 0.8858 0.2552 0.3640  2 Ti 1.92-2.06
O 0.9069 0.8875 0.9568  1 Ti 1.78
O 0.9712 0.4731 0.5069  1 Nb 1.97, 1 Ti 2.11

---

No. 2
# Bi4P3O12




RVF can be controlled and prevented by taking precautions to avoid international transport of infected animals. Important prevention strategies are through mosquito vector control and the practice of safe methods for killing and disposing infected animals.


Live attenuated and formalin-inactivated vaccines are available for use in livestock, but they can cause birth defects and abortions in sheep and only induce low-level protection in cattle. Another limitation of the veterinary vaccine is that it needs to be administered on a large scale to prevent outbreaks in epizootic areas. There is also a human live-attenuated vaccine, MP-12, that has yielded promising effects in the laboratory, but further research must be done before it can be administered in the field.

• Between two parts of the page: calculated crystals:
Mg2TaBiO6: optimized geometry, PBE.

Output
Formation energy from the elements in eV/atom: -2.680
Space-group type: P2_1/m
Calculated total energy in eV/atom: -7.13

Cell lengths 7.984, 5.584, 5.613 Å; angles 86.65, 90.00, 90.00 degrees
Positions (direct):
O  0.750  0.875  0.352
O  0.573  0.365  0.696
O  0.250  0.125  0.648
O  0.927  0.365  0.696
O  0.929  0.819  0.874
O  0.571  0.819  0.874
O  0.750  0.407  0.132
O  0.250  0.593  0.868
O  0.427  0.635  0.304
O  0.073  0.635  0.304
O  0.429  0.181  0.126
O  0.071  0.181  0.126
Ta  0.500  0.500  0.000
Ta  0.000  0.500  0.000
Bi  0.500  0.000  0.500
Bi  0.000  0.000  0.500
Mg  0.250  0.474  0.521
Mg  0.750  0.030  0.018
Mg  0.250  0.970  0.982
Mg  0.750  0.526  0.479

* * * * *

Crystalline BaCuS2 at its relaxed geometry, computed with PBE.

Calculated formation energy = -1.33 eV per atom
Volume = 25.36 Å³/atom
Energy = -4.650 eV per atom

Structure (POSCAR):
```
BaCuS2
1.0
3.378 -5.587 0.000
3.378 5.587 0.000
0.000 0.000 5.375
Ba Cu S
2 2 4
Cartesian
3.378 -1.686 1.344 Ba
3.378 1.686 4.032 Ba
0.000 0.000 2.688 Cu
0.000 0.000 0.000 Cu
5.162 1.091 1.344 S
1.593 -1.091 4.032 S
1.593 1.091 1.344 S
5.162 -1.091 4.032 S
```



Crystalline Ba6Cu34S27 at its relaxed geometry, computed with PBE.

Calculated formation energy = -0.72 eV per atom
Volume = 17.75 Å³/atom
Energy = -4.435 eV per atom

Structure (POSCAR):
```
Ba6Cu34S27
1.0
-7.847 3.557 3.289
-3.854 -8.664 -8.159
5.693 -4.703 10.174
Ba Cu S
6 34 27
Cartesian
-3.055 -1.442 -0.539 Ba
-1.530 -1.379 10.023 Ba
-6.889 0.168 4.161 Ba
0.868 -10.062 1.179 Ba
-4.485 -8.414 -4.833 Ba
-2.881 -8.303 5.881 Ba
-8.654 -5.130 -0.117 Cu
-1.262 -3.913 3.981 Cu
-9.711 -2.123 -1.015 Cu
-0.530 -5.967 7.518 Cu
-6.113 -3.377 0.372 Cu
1.690 -2.500 4.393 Cu
-1.344 -3.465 6.997 Cu
-7.573 -0.928 -0.148 Cu
-6.663 -3.180 2.956 Cu
-3.490 -5.246 3.855 Cu
1.576 -2.488 6.993 Cu
-3.785 -2.565 3.265 Cu
-5.683 0.482 1.030 Cu
-3.683 -8.772 -1.127 Cu
1.673 -2.851 9.607 Cu
-4.020 -4.814 7.068 Cu
-4.736 -2.030 6.017 Cu
-1.267 -7.773 -0.742 Cu
-2.001 -5.016 -1.778 Cu
-7.735 -6.932 -4.264 Cu
-2.313 -1.018 6.396 Cu
-0.399 -10.276 4.290 Cu
-2.223 -7.248 2.038 Cu
-7.578 -7.326 -1.671 Cu
-2.506 -4.562 1.447 Cu
0.668 -6.649 2.344 Cu
1.550 -8.899 5.443 Cu
-4.655 -6.323 -1.696 Cu
-7.693 -7.320 0.918 Cu
0.111 -6.432 4.944 Cu
-5.459 -3.835 -2.200 Cu
3.700 -7.686 6.301 Cu
-4.739 -5.872 1.327 Cu
2.669 -4.685 5.439 Cu
-1.944 -5.286 5.663 S
-7.464 -2.788 -1.407 S
-7.133 -5.126 1.579 S
-0.205 -1.950 5.684 S
-0.088 -4.136 8.896 S
3.415 -3.749 7.340 S
-5.394 -1.654 1.740 S
-8.615 0.414 1.306 S
-5.169 -3.838 4.629 S
-1.762 -2.593 2.246 S
-2.563 -7.094 -2.555 S
-2.357 -9.375 0.657 S
-0.691 -12.095 3.019 S
-5.493 2.360 2.357 S
-3.653 -0.428 4.623 S
-7.322 3.222 3.114 S
-3.454 -2.730 7.830 S
-4.240 -7.208 3.051 S
-0.840 -5.991 0.676 S
2.602 -10.252 3.980 S
-0.609 -8.143 3.568 S
-9.398 -6.070 -2.016 S
-5.930 -5.653 -3.594 S
-5.790 -7.849 -0.395 S
1.143 -4.697 3.747 S
1.467 -7.027 6.716 S


No antiviral therapy is available.


Game Action: When RVF card is drawn, all players will lose a turn because RVF is transmitted at a rapid rate. It is spread by mosquito vectors and can lead to epizootics that increase the transmission to humans. Ultimately, everyone loses.

Next time, think before you engage in " intimate" practices with your livestock or you might become infected with RVF and die!